Seems like many underestimated Trump – he wasn’t even supposed to make the nomination let alone the election. Seems you still underestimate him. The more Trump stokes anti-male sentiments, the more Democrat-progressive-Liberal males go to the wall. Even Mr Sensitive Justin Trudeau is now denounced as a vile groper and demoralized – hence the lack of “get angry!” #StillWithHer and #MeToo is driving males to the right – they have nowhere else to go. Maybe all men are pigs – the pigs still want political representation. Chrystia Freeland types and the coddled 50% female cabinet smell blood: the quicker Trudeau is gone they reason, the quicker they get their shot at moving up the ladder. A real mutiny is brewing. If the Right can depend on a burgeoning male majority base, they only need a modest amount of females. By contrast, Dems-Libs-progressives are trying to maintain a political movement based on male-loathing females. Then, the demographic problem: progressive females reproduce well below replacement fertility. (Godmother Angela Merkel, zero children.) More progressive are dying than are being born.
The goal was never about making a deal on NAFTA. It was to find a way of using Canadians hatred of Trump as a campaign tool for 2019. There is no doubt that this has been the strategy since day 1. Delay as long as possible and then use the anti-Trump sentiment to boost Trudeau’s popularity as the election approaches.
So, the strategy is to plunge Canada into the worst economic contraction since the Great Depression to boost Trudeau’s popularity? This was Hugo Chávez’s strategy. Living off canned beans with a picture of King Trudeau taped to the wall of my shanty seems a rather Pyrrhic victory.
[Unrelated to this text: molecular data]
........
Entry 1:
Below is a structure of composition C32H36AsNiO2Sb2, with properties calculated with the ωB97M-V functional and the def2-TZVPD basis.

```
74
Properties=species:S:1:pos:R:3:forces:R:3
H 1.18079 3.57754 1.13731 -0.01 -0.02 -0.01
H 5.49051 5.97288 0.64624 0.00 0.00 0.00
C -0.72553 -4.99669 -0.06685 0.01 0.02 0.00
H -0.75442 3.89180 -3.59188 0.00 0.00 0.00
H 4.15481 -1.07084 -0.29166 0.00 0.02 0.01
C -3.85976 1.27518 1.55150 0.00 -0.01 0.00
C -3.80751 -2.94641 3.41290 0.00 -0.01 0.00
C -2.77754 -1.29963 -2.84505 0.00 0.00 0.00
H -4.06832 2.34652 1.57857 0.01 0.00 0.01
H -1.58465 5.41165 -0.25384 0.01 0.00 -0.01
C 3.50567 2.99164 -0.85161 -0.12 0.04 0.06
C -0.59931 -1.51284 -1.83802 0.01 0.01 0.05
C 4.94784 5.13495 0.23013 0.01 -0.01 -0.01
H -4.45356 -1.72552 -1.59127 0.00 0.00 0.00
H -4.71562 0.78039 1.09810 0.00 0.00 0.00
H 2.85886 0.14486 2.35205 0.00 -0.01 -0.01
C 4.89548 3.06068 -0.95468 0.00 0.01 -0.02
H 1.00532 3.85506 -3.36198 -0.01 0.01 -0.01
H 1.03761 5.08359 0.28000 0.01 0.00 0.01
H 0.06863 5.24879 -2.78956 0.00 0.00 0.02
C 3.57022 5.07545 0.34801 0.02 0.02 -0.02
C -4.45040 -2.34973 1.16834 0.01 0.00 -0.01
H 2.01896 -4.00216 1.65783 0.00 0.00 0.00
C 1.34453 4.04303 0.15887 0.08 -0.04 0.06
H -5.83681 -2.75294 2.74761 0.00 0.00 0.00
C 2.82519 4.01406 -0.16767 0.01 -0.09 -0.07
H -3.69968 0.91746 2.56500 0.00 0.00 0.00
H 2.68404 -6.32606 1.16610 0.00 0.00 0.00
H 2.03609 2.11936 -2.17940 -0.01 0.00 -0.01
O -2.70283 1.03144 -0.54608 -0.08 0.07 0.05
C -1.39373 -1.21884 -2.94600 0.01 0.02 -0.01
C -2.12004 -2.53330 1.76496 -0.02 0.02 0.00
H 2.79042 -2.12556 0.14865 0.01 0.00 -0.01
C -3.10788 -2.27185 0.80982 0.00 0.00 0.02
H 0.47715 -1.55681 -1.95267 0.01 -0.02 -0.01
C -1.19625 -1.84412 -0.61513 -0.05 0.02 -0.05
H 3.01292 -1.62063 -1.53604 0.01 0.00 0.00
H -4.08642 -3.21113 4.42419 0.00 0.00 0.00
C 5.61880 4.11246 -0.42100 -0.01 0.02 0.01
H -1.68775 -4.63139 -0.40768 0.00 0.00 0.00
H -3.39196 -1.08668 -3.70947 0.00 0.00 0.00
H -1.96300 4.03767 0.81021 0.00 0.00 0.00
C -0.35024 -6.30186 -0.33898 0.00 0.00 0.00
C -2.64046 1.04769 0.71960 0.00 0.06 0.00
O -1.49973 0.88469 1.25965 0.05 0.06 0.00
C 1.73004 -5.95382 0.81664 0.00 -0.01 0.00
C -4.79376 -2.68855 2.46758 0.00 0.00 0.00
H 3.50803 1.64535 1.63826 0.00 0.00 -0.01
C -1.81267 4.34766 -0.22303 0.01 0.01 -0.02
C -3.37497 -1.66175 -1.64966 0.00 0.00 0.00
C 0.05926 4.16879 -2.92475 0.03 0.03 0.00
C -2.59595 -1.91751 -0.52626 0.00 -0.01 0.00
H -5.22890 -2.14939 0.44270 0.00 0.00 0.00
Sb 1.90354 0.39886 -0.13014 -0.06 0.07 0.03
H 1.16808 -7.80065 -0.11176 0.00 0.00 0.00
C 2.82137 1.81325 -1.48631 0.06 0.02 0.09
C 2.61934 1.02850 1.76331 0.01 -0.01 0.02
C 0.12884 -4.16020 0.64678 -0.02 -0.02 -0.02
H -1.70206 -3.05810 3.80762 0.00 0.00 0.00
H -1.01618 -6.95094 -0.89244 0.00 0.00 0.00
H -0.92938 -0.97097 -3.89168 0.00 0.00 0.00
C 0.87864 -6.78021 0.10175 0.01 0.00 0.00
H 3.05065 5.87183 0.86799 0.00 0.00 0.00
Sb -0.22002 3.21645 -1.04677 -0.19 0.01 -0.09
........
Seems like many underestimated Trump – he wasn’t even supposed to make the nomination let alone the election. Seems you still underestimate him. The more Trump stokes anti-male sentiments, the more Democrat-progressive-Liberal males go to the wall. Even Mr Sensitive Justin Trudeau is now denounced as a vile groper and demoralized – hence the lack of “get angry!” #StillWithHer and #MeToo is driving males to the right – they have nowhere else to go. Maybe all men are pigs – the pigs still want political representation. Chrystia Freeland types and the coddled 50% female cabinet smell blood: the quicker Trudeau is gone they reason, the quicker they get their shot at moving up the ladder. A real mutiny is brewing. If the Right can depend on a burgeoning male majority base, they only need a modest amount of females. By contrast, Dems-Libs-progressives are trying to maintain a political movement based on male-loathing females. Then, the demographic problem: progressive females reproduce well below replacement fertility. (Godmother Angela Merkel, zero children.) More progressive are dying than are being born.
I think you underestimate Trudeau – and his team.
The goal was never about making a deal on NAFTA. It was to find a way of using Canadians hatred of Trump as a campaign tool for 2019. There is no doubt that this has been the strategy since day 1. Delay as long as possible and then use the anti-Trump sentiment to boost Trudeau’s popularity as the election approaches.
So, the strategy is to plunge Canada into the worst economic contraction since the Great Depression to boost Trudeau’s popularity? This was Hugo Chávez’s strategy. Living off canned beans with a picture of King Trudeau taped to the wall of my shanty seems a rather Pyrrhic victory.